The reader should give back the notes further below verbatim.
'''
Entry A
The following is a DFT calculation (PBE with a Hubbard U) of an optimized crystal structure of V2OF5.

Output
theoretical density	3.3	Mg/m³

Cell and atoms, written as POSCAR:
```
V2OF5
1.0
-1.9037 0.7189 4.8698
-1.1167 -5.3418 0.3530
11.5469 -0.1060 1.6890
V O F
6 3 15
direct
0.1679 0.1686 0.3374
0.3531 0.3425 0.6853
0.4964 0.5065 0.0126
0.6654 0.6664 0.3324
0.9974 0.9978 0.9957
0.8360 0.8257 0.6512
0.4948 0.4148 0.8314
0.8340 0.7547 0.5051
0.4980 0.5791 0.1595
0.8209 0.9122 0.8247
0.6160 0.1192 0.6353
0.5171 0.6172 0.6358
0.1634 0.2550 0.5088
0.8151 0.7096 0.0274
0.1493 0.0485 0.6991
0.9552 0.4501 0.3027
0.2831 0.7819 0.9633
0.7138 0.2139 0.0287
0.1808 0.2865 0.9645
0.8461 0.9506 0.3014
0.0485 0.5489 0.6987
0.4875 0.3855 0.3675
0.3767 0.8816 0.3656
0.1835 0.0832 0.1659
```

***

Entry B
The following is a DFT calculation (PBE with a Hubbard U) of an optimized crystal structure of V2OF5.

Output
theoretical density	3.4	Mg/m³

Cell and atoms, written as POSCAR:
```
V2OF5
1.0
3.4588 3.4586 0.0000
-3.4588 3.4586 0.0000
0.0000 0.0395 17.6288
V O F
8 4 20
direct
0.0091 0.0090 0.1553
0.9867 0.0146 0.3361
0.0090 0.0091 0.6553
0.4869 0.4858 0.0861
0.5098 0.4918 0.4054
0.4858 0.4869 0.5861
0.4918 0.5098 0.9054
0.0146 0.9867 0.8361
0.2034 0.2035 0.0967
0.2035 0.2034 0.5967
0.7050 0.2982 0.3467
0.2982 0.7050 0.8467
0.1772 0.1784 0.2484
0.2137 0.2176 0.4101
0.1784 0.1772 0.7484
0.2176 0.2137 0.9101
0.7121 0.2834 0.1601
0.6781 0.3231 0.4984
0.7206 0.2824 0.8427
0.7125 0.2840 0.6602
0.6712 0.3270 0.9966
0.3231 0.6781 0.9984
0.3270 0.6712 0.4966
0.2840 0.7125 0.1602
0.2824 0.7206 0.3427
0.2834 0.7121 0.6601
0.7815 0.7811 0.0927
0.7848 0.7890 0.4103
0.7811 0.7815 0.5927
0.8277 0.8292 0.2467
0.8292 0.8277 0.7467
0.7890 0.7848 0.9103
```

***

Entry C
The following is a DFT calculation (PBE with a Hubbard U) of an optimized crystal structure of V2OF5.

Output
theoretical density	3.3	Mg/m³

Cell and atoms, written as POSCAR:
```
V2OF5
1.0
2.6187 -4.5357 0.0000
2.6187 4.5357 0.0000
0.0000 0.0000 13.5263
V O F
6 3 15
direct
0.3354 0.3092 0.2459
0.3092 0.3354 0.7541
0.9738 0.6646 0.5793
0.6646 0.9738 0.4207
0.0262 0.6908 0.0874
0.6908 0.0262 0.9126
0.7550 0.7550 0.5000
0.2450 0.0000 0.1667
0.0000 0.2450 0.8333
0.3330 0.9278 0.5001
0.6670 0.5948 0.1666
0.4052 0.0722 0.8332
0.6497 0.4004 0.6698
0.5996 0.2493 0.3364
0.9344 0.9344 0.0000
0.3503 0.7507 0.9969
0.0656 0.0000 0.6667
0.4004 0.6497 0.3302
0.7507 0.3503 0.0031
0.9278 0.3330 0.4999
0.5948 0.6670 0.8334
0.0722 0.4052 0.1668
0.2493 0.5996 0.6636
0.0000 0.0656 0.3333
```

***

Entry D
The following is a DFT calculation (PBE with a Hubbard U) of an optimized crystal structure of V2OF5.

Output
theoretical density	3.2	Mg/m³

Cell and atoms, written as POSCAR:
```
V2OF5
1.0
2.6529 1.4515 -4.3561
-0.0026 12.8037 4.2665
5.3022 -0.0005 -0.0021
V O F
6 3 15
direct
0.3086 0.8261 0.3501
0.6793 0.6673 0.6554
0.6832 0.1597 0.6758
0.0088 0.4930 0.9749
0.9887 0.0001 0.0008
0.3318 0.3341 0.3466
0.0262 0.7500 0.5496
0.0910 0.4169 0.6925
0.8855 0.0842 0.7547
0.9969 0.2501 0.4145
0.2549 0.9159 0.6643
0.7472 0.5829 0.9216
0.6001 0.7505 0.3949
0.4284 0.7561 0.9795
0.2586 0.4229 0.0954
0.7291 0.0843 0.3389
0.6717 0.4171 0.2661
0.3145 0.0894 0.9232
0.0867 0.9202 0.2546
0.9156 0.5791 0.3262
0.5856 0.2538 0.9919
0.4247 0.2460 0.5826
0.6577 0.9127 0.0912
0.3251 0.5873 0.7549
```

***

The most stable arrangement is entry D, and the next structure is 7 meV per atom less stable.
'''
Entry A
The following is a DFT calculation (PBE with a Hubbard U) of an optimized crystal structure of V2OF5.

Output
theoretical density	3.3	Mg/m³

Cell and atoms, written as POSCAR:
```
V2OF5
1.0
-1.9037 0.7189 4.8698
-1.1167 -5.3418 0.3530
11.5469 -0.1060 1.6890
V O F
6 3 15
direct
0.1679 0.1686 0.3374
0.3531 0.3425 0.6853
0.4964 0.5065 0.0126
0.6654 0.6664 0.3324
0.9974 0.9978 0.9957
0.8360 0.8257 0.6512
0.4948 0.4148 0.8314
0.8340 0.7547 0.5051
0.4980 0.5791 0.1595
0.8209 0.9122 0.8247
0.6160 0.1192 0.6353
0.5171 0.6172 0.6358
0.1634 0.2550 0.5088
0.8151 0.7096 0.0274
0.1493 0.0485 0.6991
0.9552 0.4501 0.3027
0.2831 0.7819 0.9633
0.7138 0.2139 0.0287
0.1808 0.2865 0.9645
0.8461 0.9506 0.3014
0.0485 0.5489 0.6987
0.4875 0.3855 0.3675
0.3767 0.8816 0.3656
0.1835 0.0832 0.1659
```

***

Entry B
The following is a DFT calculation (PBE with a Hubbard U) of an optimized crystal structure of V2OF5.

Output
theoretical density	3.4	Mg/m³

Cell and atoms, written as POSCAR:
```
V2OF5
1.0
3.4588 3.4586 0.0000
-3.4588 3.4586 0.0000
0.0000 0.0395 17.6288
V O F
8 4 20
direct
0.0091 0.0090 0.1553
0.9867 0.0146 0.3361
0.0090 0.0091 0.6553
0.4869 0.4858 0.0861
0.5098 0.4918 0.4054
0.4858 0.4869 0.5861
0.4918 0.5098 0.9054
0.0146 0.9867 0.8361
0.2034 0.2035 0.0967
0.2035 0.2034 0.5967
0.7050 0.2982 0.3467
0.2982 0.7050 0.8467
0.1772 0.1784 0.2484
0.2137 0.2176 0.4101
0.1784 0.1772 0.7484
0.2176 0.2137 0.9101
0.7121 0.2834 0.1601
0.6781 0.3231 0.4984
0.7206 0.2824 0.8427
0.7125 0.2840 0.6602
0.6712 0.3270 0.9966
0.3231 0.6781 0.9984
0.3270 0.6712 0.4966
0.2840 0.7125 0.1602
0.2824 0.7206 0.3427
0.2834 0.7121 0.6601
0.7815 0.7811 0.0927
0.7848 0.7890 0.4103
0.7811 0.7815 0.5927
0.8277 0.8292 0.2467
0.8292 0.8277 0.7467
0.7890 0.7848 0.9103
```

***

Entry C
The following is a DFT calculation (PBE with a Hubbard U) of an optimized crystal structure of V2OF5.

Output
theoretical density	3.3	Mg/m³

Cell and atoms, written as POSCAR:
```
V2OF5
1.0
2.6187 -4.5357 0.0000
2.6187 4.5357 0.0000
0.0000 0.0000 13.5263
V O F
6 3 15
direct
0.3354 0.3092 0.2459
0.3092 0.3354 0.7541
0.9738 0.6646 0.5793
0.6646 0.9738 0.4207
0.0262 0.6908 0.0874
0.6908 0.0262 0.9126
0.7550 0.7550 0.5000
0.2450 0.0000 0.1667
0.0000 0.2450 0.8333
0.3330 0.9278 0.5001
0.6670 0.5948 0.1666
0.4052 0.0722 0.8332
0.6497 0.4004 0.6698
0.5996 0.2493 0.3364
0.9344 0.9344 0.0000
0.3503 0.7507 0.9969
0.0656 0.0000 0.6667
0.4004 0.6497 0.3302
0.7507 0.3503 0.0031
0.9278 0.3330 0.4999
0.5948 0.6670 0.8334
0.0722 0.4052 0.1668
0.2493 0.5996 0.6636
0.0000 0.0656 0.3333
```

***

Entry D
The following is a DFT calculation (PBE with a Hubbard U) of an optimized crystal structure of V2OF5.

Output
theoretical density	3.2	Mg/m³

Cell and atoms, written as POSCAR:
```
V2OF5
1.0
2.6529 1.4515 -4.3561
-0.0026 12.8037 4.2665
5.3022 -0.0005 -0.0021
V O F
6 3 15
direct
0.3086 0.8261 0.3501
0.6793 0.6673 0.6554
0.6832 0.1597 0.6758
0.0088 0.4930 0.9749
0.9887 0.0001 0.0008
0.3318 0.3341 0.3466
0.0262 0.7500 0.5496
0.0910 0.4169 0.6925
0.8855 0.0842 0.7547
0.9969 0.2501 0.4145
0.2549 0.9159 0.6643
0.7472 0.5829 0.9216
0.6001 0.7505 0.3949
0.4284 0.7561 0.9795
0.2586 0.4229 0.0954
0.7291 0.0843 0.3389
0.6717 0.4171 0.2661
0.3145 0.0894 0.9232
0.0867 0.9202 0.2546
0.9156 0.5791 0.3262
0.5856 0.2538 0.9919
0.4247 0.2460 0.5826
0.6577 0.9127 0.0912
0.3251 0.5873 0.7549
```

***

The most stable arrangement is entry D, and the next structure is 7 meV per atom less stable.